Wanted:
It remains to write out only the last part of the notes below, starting with the line that has "-1.713".
Material:
The following is a DFT calculation (ωB97M-V/def2-TZVPD) of one molecule with the formula C2H6S at a distorted geometry.

energy = -13006.050 eV
E_LUMO = 1.17 eV
energy above the lowest of the compared OMol25 structures with the same formula, charge and spin = 7.92 kcal per mole
structure (SMILES) = CSC
highest occupied orbital energy = -8.50 eV
HOMO-LUMO gap = 9.663 eV

Bonds (Å) are listed after each position.
Positions of all 9 atoms, in Å:
1 C 0.037 -0.779 1.168  S2 1.804, H4 1.088, H5 1.088, H6 1.092
2 S 0.689 0.795 0.576  C1 1.804, C3 1.784
3 C 0.013 0.844 -1.075  S2 1.784, H7 1.093, H8 1.103, H9 1.090
4 H -0.353 -1.374 0.345  C1 1.088
5 H -0.698 -0.745 1.969  C1 1.088
6 H 0.892 -1.334 1.559  C1 1.092
7 H -0.075 -0.140 -1.545  C3 1.093
8 H -0.988 1.304 -1.133  C3 1.103
9 H 0.484 1.429 -1.864  C3 1.090

* * * * *

[1]
C16H16F3N4ORh as an isolated structure, computed with the ωB97M-V functional and the def2-TZVPD basis.

As for the expectation value of S²: 6.02. Its energy above the lowest of the compared OMol25 structures with the same formula, charge and spin is 0.0 kcal per mole. The HOMO energy (alpha / beta) comes out at -15.45 / -16.22 eV. For the total energy, the calculation gives -1322.9089 hartree. For the frontier orbital gap (alpha / beta), the calculation gives 8.1 / 7.1 eV.

```
! RIJCOSX wB97M-V def2-TZVPD def2/J DEFGRID3
* xyz 2 5
Rh -0.923 1.068 0.097
C 1.205 -3.827 -3.189
N 0.854 -2.441 -2.973
C 0.659 -1.561 -4.106
C 0.477 -1.989 -1.634
C 1.313 -0.809 -1.184
C 2.692 -0.877 -1.353
C 3.538 0.161 -0.979
C 3.012 1.312 -0.408
C 1.641 1.382 -0.218
C 0.785 0.343 -0.595
H 1.736 -3.945 -4.129
H 0.272 -4.407 -3.236
H 1.786 -4.199 -2.347
H 1.374 -1.797 -4.890
H 0.741 -0.523 -3.794
H -0.354 -1.742 -4.490
H 0.583 -2.826 -0.948
H -0.581 -1.726 -1.698
H 3.130 -1.770 -1.789
H 4.604 0.066 -1.132
H 3.654 2.129 -0.112
H 1.237 2.288 0.250
F -2.388 -0.762 -1.392
C -2.211 -0.426 -0.106
F -1.830 -1.519 0.564
F -3.390 -0.026 0.376
N -2.095 2.647 7.342
C -1.925 2.399 6.234
C -1.710 2.085 4.842
C -1.788 0.769 4.399
C -1.579 0.508 3.063
N -1.300 1.484 2.180
C -1.223 2.752 2.616
C -1.422 3.095 3.933
H -2.013 -0.037 5.083
H -1.639 -0.501 2.682
H -1.002 3.516 1.881
H -1.358 4.127 4.246
O -2.586 3.047 -1.947
N -1.977 2.534 -1.142
*
```

Mulliken population analysis, charges in e, atoms 1 to 4:
1 Rh -0.55
2 C -0.83
3 N 0.27
4 C -0.75


[2]
An isolated ion of composition C16H16N and charge +1, computed with the ωB97M-V functional and the def2-TZVPD basis.

Its energy above the lowest of the compared OMol25 structures with the same formula, charge and spin is 0.0 kcal per mole. The HOMO energy comes out at -12.19 eV. For the total energy, the calculation gives -673.8210 hartree. For the frontier orbital gap, the calculation gives 7.8 eV.

```
! RIJCOSX wB97M-V def2-TZVPD def2/J DEFGRID3
* xyz 1 1
C 1.364 3.423 -1.778
C 0.163 2.778 -1.077
N 0.389 1.374 -0.679
C 0.347 0.360 -1.521
C 0.493 -1.060 -1.144
C 0.990 -1.906 -2.139
C 1.203 -3.269 -1.861
C 0.930 -3.783 -0.577
C 0.352 -2.958 0.362
C 0.086 -1.601 0.064
C -0.764 -0.830 1.004
C -1.900 -1.388 1.629
C -2.628 -0.678 2.564
C -2.201 0.590 2.982
C -1.100 1.190 2.373
C -0.398 0.486 1.354
C 0.784 1.122 0.710
H 2.220 3.411 -1.137
H 1.073 4.464 -1.986
H 1.645 2.939 -2.713
H -0.080 3.342 -0.162
H -0.730 2.804 -1.713
H 0.178 0.607 -2.577
H 1.290 -1.572 -3.149
H 1.573 -3.894 -2.672
H 1.127 -4.837 -0.345
H 0.101 -3.380 1.302
H -2.223 -2.426 1.437
H -3.495 -1.119 3.054
H -2.820 1.120 3.729
H -0.701 2.124 2.741
H 1.706 0.520 0.773
H 1.026 2.048 1.151
*
```

Mulliken population analysis, charges in e, atoms 1 to 4:
1 C -1.07
2 C -0.67
3 N 0.36
4 C -0.22

* * * * *

# 1
DFT (ωB97M-V/def2-TZVPD) results for 2 unconnected molecules or ions with the total composition C3H8OS2 at a distorted geometry.

Properties
Molecular weight = 124.230 g/mol
F_max = 3.0 eV/A
ΔE to the lowest compared entry with this formula, charge and spin = 96.10 kcal per mole
HOMO (spin up / spin down) = -7.348 / -7.474 eV
Reply:
H -0.730 2.804 -1.713
H 0.178 0.607 -2.577
H 1.290 -1.572 -3.149
H 1.573 -3.894 -2.672
H 1.127 -4.837 -0.345
H 0.101 -3.380 1.302
H -2.223 -2.426 1.437
H -3.495 -1.119 3.054
H -2.820 1.120 3.729
H -0.701 2.124 2.741
H 1.706 0.520 0.773
H 1.026 2.048 1.151
*
```

Mulliken population analysis, charges in e, atoms 1 to 4:
1 C -1.07
2 C -0.67
3 N 0.36
4 C -0.22

* * * * *

# 1
DFT (ωB97M-V/def2-TZVPD) results for 2 unconnected molecules or ions with the total composition C3H8OS2 at a distorted geometry.

Properties
Molecular weight = 124.230 g/mol
F_max = 3.0 eV/A
ΔE to the lowest compared entry with this formula, charge and spin = 96.10 kcal per mole
HOMO (spin up / spin down) = -7.348 / -7.474 eV